Activity
It remains to work out how many lines further below have the word "weighted" in them; a number is enough.

Material
<<<
Diffraction record for Nd3TePb. The X-ray powder pattern is computed, not measured: it uses a cell relaxed with GGA-PBE and Cu Kα (weighted mean of Kα1 and Kα2).
No peak broadening, texture or thermal motion is included.

The 10 most intense peaks (2θ from 10° to 80°), in order of rising 2θ:
2θ 27.3, I 16; 2θ 28.4, I 33; 2θ 29.0, I 27; 2θ 30.5, I 100; 2θ 30.7, I 28; 2θ 33.1, I 36; 2θ 34.7, I 19; 2θ 39.7, I 37; 2θ 40.4, I 16; 2θ 49.5, I 20

Atomic structure:
```
Nd3TePb
1.0
8.637 0.000 0.000
0.000 4.542 0.000
0.000 0.000 16.861
Nd Te Pb
12 4 4
direct
0.015 0.250 0.108
0.138 0.250 0.556
0.160 0.750 0.274
0.340 0.250 0.774
0.362 0.750 0.056
0.485 0.750 0.608
0.515 0.250 0.392
0.638 0.250 0.944
0.660 0.750 0.226
0.840 0.250 0.726
0.862 0.750 0.444
0.985 0.750 0.892
0.220 0.250 0.949
0.280 0.750 0.449
0.720 0.250 0.551
0.780 0.750 0.051
0.117 0.750 0.699
0.383 0.250 0.199
0.617 0.750 0.801
0.883 0.250 0.301
```

~~~~~

Diffraction record for TlPdPb. The XRD peak list is simulated, not measured: it uses a structure optimized by DFT (PBE) and Cu Ka.
Intensities are scaled so that the largest is 1000.

Top 10 peaks for 2θ = 15–90°, in order of falling intensity:
- d 2.732, I = 1000
- d 2.178, I = 284
- d 2.245, I = 266
- d 1.661, I = 233
- d 2.529, I = 204
- d 1.423, I = 192
- d 1.608, I = 177
- d 2.960, I = 143
- d 1.250, I = 107
- d 1.488, I = 99

```
TlPdPb
1.0
-2.9596 3.4416 3.4462
2.9596 -3.4416 3.4462
2.9596 3.4416 -3.4462
Tl Pd Pb
2 2 2
Direct
0.1644 0.2500 0.4144
0.8356 0.7500 0.5856
0.6652 0.1652 0.5000
0.6652 0.6652 0.0000
0.1654 0.5766 0.0888
0.4878 0.0766 0.9112
```

Diffraction record for YTmPd2Pb. The XRD peak list is simulated, not measured: it uses a structure optimized by DFT (PBE) and Cu Ka.
Intensities are scaled so that the largest is 1000.

Top 10 peaks for 2θ = 15–90°, in order of falling intensity:
- d 2.698, I = 1000
- d 2.439, I = 506
- d 2.585, I = 494
- d 2.125, I = 282
- d 1.642, I = 271
- d 3.229, I = 246
- d 2.018, I = 214
- d 1.446, I = 198
- d 2.482, I = 186
- d 1.796, I = 168

```
YTmPd2Pb
1.0
3.5917 0.0000 0.0000
0.0000 2.1250 7.4460
0.0000 -2.1250 7.4460
Y Tm Pd Pb
1 1 2 1
Direct
0.0000 0.0000 0.0000
0.0000 0.2715 0.2715
0.5000 0.4399 0.4399
0.5000 0.8244 0.8244
0.5000 0.6343 0.6343
```

Diffraction record for Pm5Pb3. The XRD peak list is simulated, not measured: it uses a structure optimized by DFT (PBE) and Cu Ka.
Intensities are scaled so that the largest is 1000.

Top 10 peaks for 2θ = 15–90°, in order of falling intensity:
- d 2.785, I = 1000
- d 2.755, I = 712
- d 2.689, I = 392
- d 1.825, I = 294
- d 3.416, I = 250
- d 3.049, I = 229
- d 1.459, I = 223
- d 2.126, I = 192
- d 1.924, I = 146
- d 1.628, I = 128

```
Pm5Pb3
1.0
9.3156 0.0000 0.0000
-4.6578 8.0675 0.0000
0.0000 0.0000 6.8322
Pm Pb
10 6
Direct
0.0000 0.2384 0.2500
0.0000 0.7616 0.7500
0.2384 0.0000 0.2500
0.2384 0.2384 0.7500
0.3333 0.6667 0.0000
0.3333 0.6667 0.5000
0.6667 0.3333 0.0000
0.6667 0.3333 0.5000
0.7616 0.0000 0.7500
0.7616 0.7616 0.2500
0.0000 0.3944 0.7500
0.0000 0.6056 0.2500
0.3944 0.0000 0.7500
0.3944 0.3944 0.2500
0.6056 0.0000 0.2500
0.6056 0.6056 0.7500
```

Diffraction record for RbPr5Pb2. The XRD peak list is simulated, not measured: it uses a structure optimized by DFT (PBE) and Cu Ka.
Intensities are scaled so that the largest is 1000.

Top 10 peaks for 2θ = 15–90°, in order of falling intensity:
- d 3.025, I = 1000
- d 2.612, I = 431
- d 1.855, I = 316
- d 2.635, I = 261
- d 3.711, I = 248
- d 1.577, I = 199
- d 3.304, I = 151
- d 1.587, I = 151
- d 1.513, I = 136
- d 1.847, I = 130

```
RbPr5Pb2
1.0
7.3888 0.0000 0.0000
0.0000 7.3888 0.0000
0.0000 0.0000 5.2709
Rb Pr Pb
1 5 2
Direct
0.0000 0.0000 0.0000
0.0000 0.0000 0.5000
0.2840 0.2840 0.0000
0.2840 0.7160 0.0000
0.7160 0.2840 0.0000
0.7160 0.7160 0.0000
0.0000 0.5000 0.5000
0.5000 0.0000 0.5000
```

Diffraction record for Pr3Sn5Pb2. The XRD peak list is simulated, not measured: it uses a structure optimized by DFT (PBE) and Cu Ka.
>>>

Completed
1